Request >
What is needed: count the lines below that contain the word "coordinates" and give the number alone.

Material >
Compound: KPrMnWO6
Source: the Materials Project database
Functional: PBE with a Hubbard U
Structure: relaxed

Summary:
Spin magnetization ... 0.50 μB/atom
VASP energy ... -7.262 eV/atom
ΔH_f (0 K) ... -2.5147 eV/atom
Calculated density ... 6.37 g/cm3

a = 8.1262 Å, b = 8.1262 Å, c = 8.1262 Å
α = 90.00°, β = 90.00°, γ = 90.00°
Space group F-43m (No. 216)
Inequivalent atoms, fractional coordinates:
K1 0.0000 0.0000 0.0000 (multiplicity 4)
Pr1 0.0000 0.0000 0.5000 (multiplicity 4)
Mn1 0.2500 0.2500 0.2500 (multiplicity 4)
W1 0.2500 0.2500 0.7500 (multiplicity 4)
O1 0.0112 0.2500 0.7500 (multiplicity 24)

----------

K2PtI6 | GGA-PBE | optimized geometry

Cell lengths 7.7589, 7.7589, 12.0430 Å; angles 90.00, 90.00, 90.00 degrees
Closest atoms and distances in Å follow each position.
Space group P4/mnc (No. 128)
Asymmetric unit:
K: 0.0000 0.5000 0.2500 (multiplicity 4)  8 I 3.74-3.89
Pt: 0.0000 0.0000 0.0000 (multiplicity 2)  6 I 2.71-2.72
I: 0.0000 0.0000 0.2251 (multiplicity 4)  1 Pt 2.71
I: 0.1942 0.2916 0.0000 (multiplicity 8)  1 Pt 2.72

## Properties
DFT formation energy, meV/atom: -1010


K2RbYI6 | GGA-PBE | optimized geometry

Cell lengths 12.9734, 12.9734, 12.9734 Å; angles 90.00, 90.00, 90.00 degrees
Closest atoms and distances in Å follow each position.
Space group Fm-3m (No. 225)
Asymmetric unit:
K: 0.2500 0.2500 0.2500 (multiplicity 8)  12 I 4.59
Rb: 0.0000 0.0000 0.0000 (multiplicity 4)  6 I 3.46
Y: 0.0000 0.0000 0.5000 (multiplicity 4)  6 I 3.02
I: 0.0000 0.0000 0.2670 (multiplicity 24)  1 Y 3.02

## Properties
Total magnetic moment, μB per cell: 0.01
DFT formation energy, meV/atom: -1597


K3ScI6 | GGA-PBE | optimized geometry

Cell lengths 12.4585, 12.4585, 12.4585 Å; angles 90.00, 90.00, 90.00 degrees
Closest atoms and distances in Å follow each position.
Space group Fm-3m (No. 225)
Asymmetric unit:
K: 0.0000 0.0000 0.0000 (multiplicity 4)  6 I 3.34
K: 0.2500 0.2500 0.2500 (multiplicity 8)  12 I 4.41
Sc: 0.0000 0.0000 0.5000 (multiplicity 4)  6 I 2.89
I: 0.0000 0.0000 0.2684 (multiplicity 24)  1 Sc 2.89

## Properties
Total magnetic moment, μB per cell: 0.01
DFT formation energy, meV/atom: -1542


KSm2I5 | GGA-PBE | optimized geometry

Cell lengths 9.6931, 8.6885, 14.2031 Å; angles 90.00, 90.44, 90.00 degrees
Closest atoms and distances in Å follow each position.
Space group P2_1/c (No. 14)
Asymmetric unit:
K: 0.0040 0.0425 0.1747 (multiplicity 4)  8 I 3.54-3.87
Sm: 0.2672 0.0872 0.5026 (multiplicity 4)  7 I 3.17-3.36
Sm: 0.4915 0.0554 0.1728 (multiplicity 4)  8 I 3.21-3.54
I: 0.0337 0.6635 0.0850 (multiplicity 4)  2 Sm 3.23-3.36, 2 K 3.54-3.59
I: 0.2687 0.1821 0.7185 (multiplicity 4)  3 Sm 3.17-3.46
I: 0.2832 0.0379 0.9936 (multiplicity 4)  3 Sm 3.24-3.33
I: 0.2876 0.6529 0.8217 (multiplicity 4)  3 Sm 3.32-3.42
I: 0.4551 0.6655 0.1057 (multiplicity 4)  4 Sm 3.18-3.54

## Properties
Total magnetic moment, μB per cell: 7.99
DFT formation energy, meV/atom: -1413


KSn2I5 | GGA-PBE | optimized geometry

Cell lengths 9.0104, 9.0104, 16.0514 Å; angles 90.00, 90.00, 90.00 degrees
Closest atoms and distances in Å follow each position.
Space group I4/mcm (No. 140)
Asymmetric unit:
K: 0.0000 0.0000 0.2500 (multiplicity 4)  10 I 3.86-4.01
Sn: 0.1778 0.3222 0.0000 (multiplicity 8)  4 I 3.01-3.32
I: 0.0000 0.0000 0.0000 (multiplicity 4)  4 Sn 3.32
I: 0.1587 0.3413 0.3646 (multiplicity 16)  1 Sn 3.01

## Properties
Total magnetic moment, μB per cell: 0.02
DFT formation energy, meV/atom: -965


K3TaI6 | GGA-PBE | optimized geometry

Cell lengths 12.3193, 12.3193, 12.3193 Å; angles 90.00, 90.00, 90.00 degrees
Closest atoms and distances in Å follow each position.
Space group Fm-3m (No. 225)
Asymmetric unit:
K: 0.0000 0.0000 0.0000 (multiplicity 4)  6 I 3.33
K: 0.2500 0.2500 0.2500 (multiplicity 8)  12 I 4.36
Ta: 0.0000 0.0000 0.5000 (multiplicity 4)  6 I 2.83
I: 0.0000 0.0000 0.2702 (multiplicity 24)  1 Ta 2.83

## Properties
Total magnetic moment, μB per cell: 7.99
DFT formation energy, meV/atom: -1110

Done >
1